/*
Below is C22H26N5OSSr as an isolated structure, with properties calculated with wB97M-V/def2-TZVPD.

```
! RIJCOSX wB97M-V def2-TZVPD def2/J DEFGRID3
* xyz 1 1
Sr 0.116 -0.202 -0.184
C -2.432 -0.502 -2.321
C -1.713 -1.787 -2.611
C -2.211 -2.714 -3.519
C -1.503 -3.878 -3.741
C -0.322 -4.098 -3.050
C 0.117 -3.135 -2.153
N -0.569 -2.003 -1.950
C 1.372 -3.313 -1.355
C 2.120 -4.483 -1.433
C 3.257 -4.605 -0.658
C 3.631 -3.560 0.165
C 2.849 -2.412 0.183
N 1.737 -2.303 -0.555
C 3.212 -1.256 1.058
C 4.500 -1.095 1.545
C 4.761 -0.029 2.393
C 3.738 0.834 2.730
C 2.475 0.630 2.185
C 1.329 1.553 2.480
N 2.232 -0.393 1.356
H -3.374 -0.447 -2.861
H -1.827 0.359 -2.620
H -2.641 -0.414 -1.250
H -3.137 -2.514 -4.039
H -1.864 -4.615 -4.446
H 0.232 -5.007 -3.220
H 1.819 -5.297 -2.072
H 3.844 -5.514 -0.690
H 4.500 -3.648 0.798
H 5.292 -1.772 1.263
H 5.758 0.120 2.785
H 3.907 1.666 3.399
H 1.523 2.146 3.371
H 0.406 0.989 2.629
H 1.174 2.245 1.647
C -1.155 5.639 -0.782
N -1.687 4.568 0.026
C -2.867 4.771 0.862
C -3.047 3.401 1.533
N -2.144 2.554 0.762
C -1.361 3.270 -0.041
S -0.110 2.655 -1.029
H -1.922 6.021 -1.461
H -0.318 5.265 -1.363
H -0.815 6.455 -0.144
H -3.723 5.048 0.240
H -2.695 5.573 1.580
H -4.071 3.040 1.470
H -2.754 3.419 2.584
H -2.009 1.525 0.907
C -2.748 -0.562 1.938
O -1.731 -0.125 1.089
H -2.354 -1.058 2.834
H -3.421 -1.274 1.443
H -3.376 0.270 2.292
*
```

Values from the calculation:
Calculated total energy (hartree): -1631.8397
HOMO energy (eV): -11.129
Energy relative to the best compared isomer or geometry (same formula, charge and spin) (kJ/mol): 0.0
HOMO-LUMO gap (eV): 8.12

Below is C22H26N6O7PtS as an isolated structure, with properties calculated with wB97M-V/def2-TZVPD.

```
! RIJCOSX wB97M-V def2-TZVPD def2/J DEFGRID3
* xyz 0 5
Pt -1.565 0.189 0.457
O -1.487 3.648 -0.417
S -2.508 2.783 0.129
O -3.750 3.386 0.486
O -1.908 1.988 1.330
O -2.713 1.568 -0.826
O 5.234 3.642 -0.221
C 5.190 2.546 0.576
O 6.217 2.033 0.920
C 3.839 2.026 0.954
C 2.636 2.619 0.577
C 1.419 2.059 0.921
C 1.380 0.879 1.663
C 2.585 0.294 2.070
C 3.793 0.863 1.718
N 0.148 0.280 1.916
C -0.114 -0.460 2.979
C -1.380 -1.041 3.102
C -1.792 -1.849 4.192
C -3.048 -2.368 4.225
C -3.951 -2.099 3.162
C -3.521 -1.325 2.128
N -2.274 -0.803 2.091
H 4.341 3.960 -0.400
H 2.601 3.543 0.008
H 0.494 2.546 0.623
H 2.573 -0.645 2.607
H 4.729 0.403 2.009
H 0.603 -0.572 3.785
H -1.080 -2.038 4.985
H -3.362 -2.979 5.061
H -4.963 -2.478 3.164
H -4.168 -1.069 1.300
C 3.717 -0.522 -1.321
N 2.521 0.228 -1.701
C 2.592 1.287 -2.538
C 1.491 1.969 -2.896
C 0.250 1.551 -2.318
N 0.187 0.618 -1.373
C 1.306 -0.144 -1.096
O 1.312 -1.105 -0.348
N -0.891 2.109 -2.727
H 4.526 -0.226 -1.985
H 3.528 -1.587 -1.413
H 3.988 -0.311 -0.287
H 3.578 1.537 -2.910
H 1.537 2.801 -3.584
H -0.844 2.980 -3.225
H -1.720 1.942 -2.156
C -1.100 -2.220 -2.698
C -2.096 -2.251 -1.529
C -2.253 -3.684 -0.993
C -3.449 -1.670 -1.952
N -1.551 -1.460 -0.474
H -1.476 -2.868 -3.492
H -0.121 -2.577 -2.377
H -0.997 -1.205 -3.086
H -2.609 -4.322 -1.803
H -2.975 -3.716 -0.175
H -1.299 -4.068 -0.632
H -3.812 -2.249 -2.802
H -3.359 -0.621 -2.239
H -4.178 -1.743 -1.143
*
```

Values from the calculation:
Calculated total energy (hartree): -2226.5882
HOMO energy (spin up / spin down) (eV): -6.467 / -8.800
Energy relative to the best compared isomer or geometry (same formula, charge and spin) (kJ/mol): 87.0
Expectation value of S²: 6.041
HOMO-LUMO gap (spin up / spin down) (eV): 5.77 / 7.17

Below is a 2-piece molecular cluster, C22H26NO4 overall, with properties calculated with wB97M-V/def2-TZVPD.

```
! RIJCOSX wB97M-V def2-TZVPD def2/J DEFGRID3
* xyz 1 1
H 0.705 0.270 0.107
C -0.477 -2.254 0.324
H -1.026 -1.554 -0.299
C 0.548 -3.017 -0.245
C 0.949 -2.903 -1.690
O 1.901 -3.496 -2.178
O 0.148 -2.082 -2.409
C 0.337 -2.221 -3.847
C -0.532 -1.230 -4.568
C 1.284 -3.861 0.561
N 1.080 -3.836 1.917
C 0.172 -2.995 2.508
C -0.561 -2.136 1.716
C -1.360 -1.066 2.414
O -1.388 -0.941 3.631
O -2.064 -0.275 1.568
C -3.040 0.546 2.270
*/

The reader should work out how many lines further up have the word "Below" in them; a number is enough.

3